## Material
- - -
Below is a relaxed BaPtAu3 crystal, with properties calculated at the PBE level.

Calculated values
ΔH_f (0 K) (eV per atom): -0.46
Crystal system: hexagonal
D(E_F) (states/eV per cell): 4.2
Energy relative to the lowest polymorph listed for this composition (eV per atom): 0.000
Space-group type: P6_3/mmc (194)

Cell lengths 6.8112, 6.8112, 5.9782 Å; angles 90.00, 90.00, 120.00 degrees
Element x y z (fractional)
Ba (0.3333, 0.6667, 0.2500)
Ba (0.6667, 0.3333, 0.7500)
Pt (0.0000, 0.0000, 0.0000)
Pt (0.0000, 0.0000, 0.5000)
Au (0.1960, 0.3920, 0.7500)
Au (0.1960, 0.8040, 0.7500)
Au (0.3920, 0.1960, 0.2500)
Au (0.6080, 0.8040, 0.7500)
Au (0.8040, 0.1960, 0.2500)
Au (0.8040, 0.6080, 0.2500)

Below is a relaxed LiNiI crystal, with properties calculated at the PBE level.

Calculated values
Crystal system: monoclinic
D(E_F) (states/eV per cell): 1.8
Formation energy from raw total energies (eV/atom): -0.199
Energy relative to the lowest polymorph listed for this composition (eV per atom): 0.066
Space-group type: Cm (8)

Cell lengths 4.4445, 4.4445, 8.0612 Å; angles 94.02, 94.02, 57.37 degrees
Element x y z (fractional)
Li (0.0000, 0.0000, 0.0000)
Li (0.6956, 0.6956, 0.0787)
Ni (0.3072, 0.3072, 0.9310)
Ni (0.7777, 0.7777, 0.7636)
I (0.0967, 0.0967, 0.6864)
I (0.3969, 0.3969, 0.2331)

Below is a relaxed Sm4Er15In crystal, with properties calculated at the PBE level.

Calculated values
ΔH_f (0 K) (eV per atom): -0.03
Crystal system: tetragonal
D(E_F) (states/eV per cell): 23.9
Space-group type: P4/mmm (123)

Cell lengths 4.9474, 4.9474, 25.0106 Å; angles 90.00, 90.00, 90.00 degrees
Element x y z (fractional)
Sm (0.0000, 0.0000, 0.1013)
Sm (0.0000, 0.0000, 0.3023)
Sm (0.0000, 0.0000, 0.6977)
Sm (0.0000, 0.0000, 0.8987)
Er (0.0000, 0.5000, 0.0000)
Er (0.0000, 0.5000, 0.2021)
Er (0.0000, 0.5000, 0.4040)
Er (0.0000, 0.5000, 0.5960)
Er (0.0000, 0.5000, 0.7979)
Er (0.5000, 0.0000, 0.0000)
Er (0.5000, 0.0000, 0.2021)
Er (0.5000, 0.0000, 0.4040)
Er (0.5000, 0.0000, 0.5960)
Er (0.5000, 0.0000, 0.7979)
Er (0.5000, 0.5000, 0.1015)
Er (0.5000, 0.5000, 0.3054)
Er (0.5000, 0.5000, 0.5000)
Er (0.5000, 0.5000, 0.6946)
Er (0.5000, 0.5000, 0.8985)
In (0.0000, 0.0000, 0.5000)

> Which of these has the lowest D(E_F)?

LiNiI

> What is the formula in the second record?

LiNiI
- - -

## Brief
Now reproduce only the last part of the calculation results earlier on, starting with the line that has "0.6864)".

## Written answer
I (0.0967, 0.0967, 0.6864)
I (0.3969, 0.3969, 0.2331)

Below is a relaxed Sm4Er15In crystal, with properties calculated at the PBE level.

Calculated values
ΔH_f (0 K) (eV per atom): -0.03
Crystal system: tetragonal
D(E_F) (states/eV per cell): 23.9
Space-group type: P4/mmm (123)

Cell lengths 4.9474, 4.9474, 25.0106 Å; angles 90.00, 90.00, 90.00 degrees
Element x y z (fractional)
Sm (0.0000, 0.0000, 0.1013)
Sm (0.0000, 0.0000, 0.3023)
Sm (0.0000, 0.0000, 0.6977)
Sm (0.0000, 0.0000, 0.8987)
Er (0.0000, 0.5000, 0.0000)
Er (0.0000, 0.5000, 0.2021)
Er (0.0000, 0.5000, 0.4040)
Er (0.0000, 0.5000, 0.5960)
Er (0.0000, 0.5000, 0.7979)
Er (0.5000, 0.0000, 0.0000)
Er (0.5000, 0.0000, 0.2021)
Er (0.5000, 0.0000, 0.4040)
Er (0.5000, 0.0000, 0.5960)
Er (0.5000, 0.0000, 0.7979)
Er (0.5000, 0.5000, 0.1015)
Er (0.5000, 0.5000, 0.3054)
Er (0.5000, 0.5000, 0.5000)
Er (0.5000, 0.5000, 0.6946)
Er (0.5000, 0.5000, 0.8985)
In (0.0000, 0.0000, 0.5000)

> Which of these has the lowest D(E_F)?

LiNiI

> What is the formula in the second record?

LiNiI